== Given ==
********
Record 1
Formula: C46H63CrN4O2S
Source: the Open Molecules 2025 dataset
Level of theory: ωB97M-V/def2-TZVPD

Output
orbital gap (alpha / beta) = 6.66 / 6.76 eV
HOMO level (alpha / beta) = -6.67 / -6.67 eV
spin multiplicity = 4
⟨S²⟩ = 3.774
total charge = 0
LUMO level (alpha / beta) = -0.008 / 0.087 eV

Last column: Löwdin spin population.
Element x y z (Å)
C  -0.286  -3.912  1.899  -0.001
C  -5.967  -3.456  0.221  0.000
C  2.260  1.577  -0.615  0.005
H  -2.686  2.539  3.255  0.000
H  3.566  5.106  -0.205  0.000
H  1.320  -4.212  -1.040  0.000
C  0.979  5.023  0.403  0.001
C  -2.231  1.731  1.344  0.008
C  -3.852  -2.750  -0.578  0.001
C  -1.496  2.876  -2.957  0.003
H  6.179  3.514  0.860  0.000
C  -0.363  -1.820  0.703  0.001
H  1.590  6.379  -1.319  0.000
C  0.316  -4.551  0.828  0.006
Cr  -0.925  0.608  -0.800  2.872
H  -5.557  -1.355  -0.324  0.000
H  -2.575  2.703  -2.863  0.000
H  -0.066  -1.920  -2.366  0.000
H  -3.940  -6.115  -0.148  0.000
C  6.401  2.917  0.002  0.000
H  6.324  1.886  0.049  0.000
H  -2.667  -0.825  1.893  0.000
H  -1.209  1.689  1.507  0.001
C  -3.078  2.344  2.302  0.000
H  -1.120  3.481  -2.100  0.000
H  -2.440  -4.248  -0.982  0.000
C  0.409  1.539  -3.278  0.001
C  -0.607  -2.575  1.887  0.003
H  -0.379  3.853  1.746  0.000
H  -6.253  -5.468  0.556  0.000
H  0.161  6.884  -0.429  0.000
N  -2.641  1.472  0.097  -0.016
H  0.216  5.383  -1.482  0.000
H  2.035  -5.695  2.601  0.000
O  -0.835  -0.551  0.705  0.030
H  -0.798  -0.317  4.598  0.000
H  6.734  5.078  -1.782  0.000
S  -4.561  1.260  -1.853  0.008
H  -3.512  -2.140  2.725  0.000
H  -1.517  -6.522  1.437  0.000
C  1.330  2.544  -0.277  0.003
C  -5.163  -2.412  -0.212  0.000
H  0.779  2.370  -2.644  0.000
H  -1.011  5.431  1.280  0.000
H  -5.786  2.559  0.291  0.000
C  4.058  3.132  -0.822  0.005
C  -5.583  -4.735  0.193  0.000
C  0.628  -6.084  0.916  0.001
H  -0.980  4.174  0.077  0.000
H  1.003  6.391  2.034  0.000
H  -5.073  3.039  2.732  0.000
C  0.702  -1.738  -1.616  0.005
H  2.242  -7.249  1.888  0.000
C  -0.406  4.595  0.889  0.001
H  6.978  3.152  -2.816  0.000
C  0.376  -2.412  -0.343  0.007
C  -1.788  0.733  -3.920  0.000
H  0.721  -0.580  -3.567  0.000
C  -1.577  -3.000  4.190  0.000
H  1.638  -2.022  -2.064  0.000
H  -1.836  -2.522  5.104  0.000
O  0.013  2.145  -0.263  0.040
C  0.742  -3.788  -0.274  -0.001
H  7.499  3.085  -0.257  0.000
C  5.502  3.383  -1.205  0.001
C  3.529  1.868  -0.953  0.000
H  -0.677  -3.473  4.404  0.000
C  -0.466  -6.746  1.807  0.000
H  6.082  1.645  -2.310  0.000
C  1.715  5.854  1.441  0.000
C  -3.393  -4.052  -0.539  0.000
C  1.998  -6.262  1.613  0.000
H  1.442  -0.018  0.412  0.001
H  2.363  6.614  0.883  0.000
C  -3.928  1.699  -0.330  0.002
C  -1.367  -1.974  3.081  0.001
H  2.784  -5.913  1.007  0.000
H  -2.791  0.557  -3.508  0.000
N  -2.235  -0.986  -1.549  0.001
N  0.772  -0.220  -1.552  -0.011
H  5.787  5.362  -0.408  0.000
C  3.189  4.107  -0.318  -0.001
H  -1.912  1.299  -4.867  -0.001
H  2.708  -0.537  -0.534  0.000
H  2.078  0.320  -3.014  0.000
H  -0.164  -0.123  2.906  0.000
H  -1.211  3.318  -3.871  0.000
H  0.436  -1.413  4.004  0.000
H  4.983  5.293  -2.062  0.000
C  -4.781  2.267  0.659  -0.003
H  -0.480  -6.399  2.803  0.000
C  1.802  3.838  -0.077  0.005
C  0.484  -6.664  -0.497  0.000
H  -6.884  -3.205  0.628  0.000
C  -4.262  -5.083  -0.151  0.000
C  1.849  0.141  -0.552  0.006
C  6.031  2.748  -2.471  0.000
C  1.015  0.198  -2.930  0.003
H  0.647  -7.688  -0.340  0.000
C  0.739  6.003  -0.759  0.000
H  -2.285  -3.818  3.976  0.000
H  -0.303  -7.845  1.799  0.000
N  -1.000  1.516  -2.961  -0.003
H  4.133  1.063  -1.281  0.000
H  5.364  2.812  -3.294  0.000
H  0.690  1.840  -4.289  0.000
H  1.301  -6.363  -1.156  0.000
H  -1.312  -0.279  -4.167  0.000
H  -0.511  -4.535  2.738  0.000
C  -2.733  -1.370  2.788  0.001
C  5.736  4.895  -1.416  0.000
H  -0.485  -6.405  -0.856  0.000
C  -2.954  -1.780  -1.175  0.008
H  -2.892  -0.634  3.612  0.000
C  -4.385  2.505  2.006  0.004
********

== Wanted ==
The reader should restate only the last part of the listing further up, starting with the line that has "0.412".

== Done ==
H  1.442  -0.018  0.412  0.001
H  2.363  6.614  0.883  0.000
C  -3.928  1.699  -0.330  0.002
C  -1.367  -1.974  3.081  0.001
H  2.784  -5.913  1.007  0.000
H  -2.791  0.557  -3.508  0.000
N  -2.235  -0.986  -1.549  0.001
N  0.772  -0.220  -1.552  -0.011
H  5.787  5.362  -0.408  0.000
C  3.189  4.107  -0.318  -0.001
H  -1.912  1.299  -4.867  -0.001
H  2.708  -0.537  -0.534  0.000
H  2.078  0.320  -3.014  0.000
H  -0.164  -0.123  2.906  0.000
H  -1.211  3.318  -3.871  0.000
H  0.436  -1.413  4.004  0.000
H  4.983  5.293  -2.062  0.000
C  -4.781  2.267  0.659  -0.003
H  -0.480  -6.399  2.803  0.000
C  1.802  3.838  -0.077  0.005
C  0.484  -6.664  -0.497  0.000
H  -6.884  -3.205  0.628  0.000
C  -4.262  -5.083  -0.151  0.000
C  1.849  0.141  -0.552  0.006
C  6.031  2.748  -2.471  0.000
C  1.015  0.198  -2.930  0.003
H  0.647  -7.688  -0.340  0.000
C  0.739  6.003  -0.759  0.000
H  -2.285  -3.818  3.976  0.000
H  -0.303  -7.845  1.799  0.000
N  -1.000  1.516  -2.961  -0.003
H  4.133  1.063  -1.281  0.000
H  5.364  2.812  -3.294  0.000
H  0.690  1.840  -4.289  0.000
H  1.301  -6.363  -1.156  0.000
H  -1.312  -0.279  -4.167  0.000
H  -0.511  -4.535  2.738  0.000
C  -2.733  -1.370  2.788  0.001
C  5.736  4.895  -1.416  0.000
H  -0.485  -6.405  -0.856  0.000
C  -2.954  -1.780  -1.175  0.008
H  -2.892  -0.634  3.612  0.000
C  -4.385  2.505  2.006  0.004